Brief >
The reader should work out how many lines further below have the word "data_K3NaSn3Se8" in them; a number is enough.

Excerpt >
-- begin --
This record from the Materials Project database describes an optimized crystal structure of K3NaTh2O6. The functional is GGA-PBE.

CIF file:
```
data_K3NaTh2O6
_chemical_formula_sum 'K12 Na4 Th8 O24'
_cell_length_a 6.3425
_cell_length_b 10.9914
_cell_length_c 12.7695
_cell_angle_alpha 90.00
_cell_angle_beta 99.56
_cell_angle_gamma 90.00
_symmetry_space_group_name_H-M 'C 1 2/c 1'
_symmetry_Int_Tables_number 15
loop_
_symmetry_equiv_pos_as_xyz
'x,y,z'
'-x,-y,-z'
'-x,y,-z+1/2'
'x,-y,z+1/2'
'x+1/2,y+1/2,z'
'-x+1/2,-y+1/2,-z'
'-x+1/2,y+1/2,-z+1/2'
'x+1/2,-y+1/2,z+1/2'
loop_
_atom_site_label
_atom_site_fract_x
_atom_site_fract_y
_atom_site_fract_z
_atom_site_occupancy
K1 0.2346 0.0781 0.9998 1
K2 0.2500 0.2500 0.5000 1
Na1 0.0000 0.0843 0.2500 1
Th1 0.0000 0.2499 0.7500 1
Th2 0.0000 0.4173 0.2500 1
O1 0.0967 0.4161 0.6527 1
O2 0.1518 0.1005 0.6530 1
O3 0.1526 0.2691 0.1531 1
```

Properties
- formation energy from the elements (eV/atom) = -2.9606
- crystal system = monoclinic
- size of the total moment (μB/atom) = 0.000


This record from the Materials Project database describes an optimized crystal structure of K2NaTlO3. The functional is GGA-PBE.

CIF file:
```
data_K2NaTlO3
_chemical_formula_sum 'K8 Na4 Tl4 O12'
_cell_length_a 6.5214
_cell_length_b 7.0262
_cell_length_c 12.1174
_cell_angle_alpha 90.00
_cell_angle_beta 95.24
_cell_angle_gamma 90.00
_symmetry_space_group_name_H-M 'P 1 21/c 1'
_symmetry_Int_Tables_number 14
loop_
_symmetry_equiv_pos_as_xyz
'x,y,z'
'-x,-y,-z'
'-x,y+1/2,-z+1/2'
'x,-y+1/2,z+1/2'
loop_
_atom_site_label
_atom_site_fract_x
_atom_site_fract_y
_atom_site_fract_z
_atom_site_occupancy
K1 0.0695 0.1403 0.1419 1
K2 0.4215 0.6663 0.8526 1
Na1 0.3591 0.1251 0.9134 1
Tl1 0.1475 0.6260 0.0906 1
O1 0.1940 0.0997 0.4579 1
O2 0.2451 0.0066 0.7447 1
O3 0.2840 0.6183 0.5354 1
```

Properties
- formation energy from the elements (eV/atom) = -1.4405
- crystal system = monoclinic
- size of the total moment (μB/atom) = 0.000


This record from the Materials Project database describes an optimized crystal structure of K2Na3SiP3. The functional is GGA-PBE.

CIF file:
```
data_K2Na3SiP3
_chemical_formula_sum 'K8 Na12 Si4 P12'
_cell_length_a 14.6637
_cell_length_b 4.8008
_cell_length_c 13.2225
_cell_angle_alpha 90.00
_cell_angle_beta 90.00
_cell_angle_gamma 90.00
_symmetry_space_group_name_H-M 'P n m a'
_symmetry_Int_Tables_number 62
loop_
_symmetry_equiv_pos_as_xyz
'x,y,z'
'-x,-y,-z'
'-x+1/2,-y,z+1/2'
'x+1/2,y,-z+1/2'
'x+1/2,-y+1/2,-z+1/2'
'-x+1/2,y+1/2,z+1/2'
'-x,y+1/2,-z'
'x,-y+1/2,z'
loop_
_atom_site_label
_atom_site_fract_x
_atom_site_fract_y
_atom_site_fract_z
_atom_site_occupancy
K1 0.0120 0.2500 0.1362 1
K2 0.2017 0.7500 0.0594 1
Na1 0.0591 0.2500 0.4289 1
Na2 0.0840 0.2500 0.6829 1
Na3 0.2425 0.7500 0.7662 1
Si1 0.2032 0.7500 0.4156 1
P1 0.1135 0.7500 0.2838 1
P2 0.1406 0.7500 0.5672 1
P3 0.1481 0.2500 0.8959 1
```

Properties
- formation energy from the elements (eV/atom) = -0.4204
- crystal system = orthorhombic
- size of the total moment (μB/atom) = 0.000


This record from the Materials Project database describes an optimized crystal structure of K3NaSn3Se8. The functional is GGA-PBE.

CIF file:
```
data_K3NaSn3Se8
_chemical_formula_sum 'K6 Na2 Sn6 Se16'
_cell_length_a 8.3282
_cell_length_b 8.3282
_cell_length_c 13.9341
_cell_angle_alpha 90.00
_cell_angle_beta 90.00
_cell_angle_gamma 90.00
_symmetry_space_group_name_H-M 'P 4/n b m'
_symmetry_Int_Tables_number 125
loop_
_symmetry_equiv_pos_as_xyz
'x,y,z'
'-x,-y,-z'
'-y+1/2,x,z'
'y+1/2,-x,-z'
'-x+1/2,-y+1/2,z'
'x+1/2,y+1/2,-z'
'y,-x+1/2,z'
'-y,x+1/2,-z'
'x,-y+1/2,-z'
'-x,y+1/2,z'
'-y+1/2,-x+1/2,-z'
'y+1/2,x+1/2,z'
'-x+1/2,y,-z'
'x+1/2,-y,z'
'y,x,-z'
'-y,-x,z'
loop_
_atom_site_label
_atom_site_fract_x
_atom_site_fract_y
_atom_site_fract_z
_atom_site_occupancy
K1 0.2500 0.2500 0.0000 1
K2 0.2500 0.2500 0.2771 1
Na1 0.2500 0.7500 0.0000 1
Sn1 0.2500 0.7500 0.2459 1
Sn2 0.2500 0.7500 0.5000 1
Se1 0.0691 0.5691 0.1473 1
Se2 0.0857 0.5857 0.6232 1
```

Properties
-- stop --

Outcome >
1